Data:
(1)
Computed, not measured: C32H38N10O2RhS3 as an isolated structure, with ωB97M-V/def2-TZVPD.

Geometry as ORCA input:
```
! RIJCOSX wB97M-V def2-TZVPD def2/J DEFGRID3
* xyz -1 5
Rh -0.448 -0.292 0.078
C 3.544 -0.989 -1.426
C 2.083 -0.707 -1.261
N 1.544 -0.550 -0.049
N 2.381 -0.575 1.033
C 1.806 -0.385 2.165
N 2.594 -0.453 3.315
S 0.097 -0.084 2.420
C 1.203 -0.604 -2.354
C 1.620 -0.689 -3.711
C 0.695 -0.648 -4.716
C -0.671 -0.535 -4.400
C -1.019 -0.428 -3.071
N -0.138 -0.412 -2.072
H 3.925 -1.466 -0.525
H 4.121 -0.072 -1.582
H 3.713 -1.647 -2.276
H 3.573 -0.291 3.130
H 2.229 0.079 4.091
H 2.671 -0.788 -3.937
H 1.012 -0.726 -5.749
H -1.440 -0.565 -5.156
H -2.059 -0.390 -2.787
N 0.793 4.167 0.330
C 0.772 4.136 -1.046
C 0.526 2.838 -1.374
N 0.396 2.087 -0.234
C 0.558 2.908 0.768
H 0.928 4.978 0.907
H 0.933 5.013 -1.645
H 0.449 2.388 -2.349
H 0.517 2.623 1.806
N -7.105 -4.922 1.714
C -6.196 -4.598 0.698
C -5.216 -5.507 0.307
C -4.339 -5.196 -0.719
C -4.427 -3.969 -1.358
C -5.407 -3.060 -0.981
C -6.294 -3.378 0.030
S -3.218 -3.496 -2.569
O -2.716 -4.729 -3.143
O -3.870 -2.552 -3.444
N -2.144 -2.704 -1.730
C -1.170 -3.300 -1.062
S -0.723 -5.014 -1.150
C 0.487 -4.746 0.060
C 0.502 -3.447 0.417
N -0.407 -2.643 -0.214
H -6.758 -5.596 2.379
H -7.511 -4.121 2.172
H -5.143 -6.462 0.814
H -3.581 -5.902 -1.029
H -5.456 -2.105 -1.486
H -7.060 -2.669 0.322
H 1.105 -5.545 0.428
H 1.167 -3.003 1.143
C -3.538 -1.004 3.520
C -4.017 -1.703 2.242
C -3.003 -2.719 1.751
C -4.474 -0.657 1.245
C -5.844 -0.450 1.210
C -6.438 0.560 0.474
C -5.616 1.454 -0.195
C -4.241 1.325 -0.201
C -3.461 2.477 -0.802
C -2.572 2.111 -1.979
C -2.686 3.202 0.302
C -3.617 0.194 0.447
N -2.313 -0.006 0.296
H -3.220 -1.741 4.260
H -4.334 -0.392 3.950
H -2.687 -0.362 3.308
H -4.926 -2.258 2.499
H -2.004 -2.297 1.731
H -3.246 -3.068 0.749
H -2.991 -3.578 2.426
H -6.469 -1.108 1.803
H -7.514 0.669 0.448
H -6.057 2.298 -0.711
H -4.217 3.172 -1.182
H -1.754 1.468 -1.663
H -2.145 3.013 -2.424
H -3.147 1.591 -2.746
H -1.983 2.518 0.776
H -3.369 3.573 1.068
H -2.128 4.046 -0.108
*
```

Computed properties:
ΔE to the lowest compared entry with this formula, charge and spin: 0.75 kcal per mole
highest occupied orbital energy (alpha / beta): -2.369 / -4.419 eV
strongest force on any atom: 0.68 eV/A



(2)
Computed, not measured: C32H38N5PRhSSi as an isolated structure, with ωB97M-V/def2-TZVPD.

Geometry as ORCA input:
```
! RIJCOSX wB97M-V def2-TZVPD def2/J DEFGRID3
* xyz 1 1
Rh -0.154 0.204 0.068
C 4.685 -1.736 2.530
Si 4.373 0.005 3.129
C 4.969 0.176 4.895
C 5.200 1.269 2.030
C 2.510 0.399 3.134
C 1.874 0.920 4.259
C 0.536 1.299 4.239
C -0.172 1.149 3.067
N 0.417 0.642 1.984
C 1.707 0.277 2.001
S 2.154 -0.354 0.413
H 5.734 -1.991 2.695
H 4.474 -1.847 1.467
H 4.080 -2.464 3.074
H 6.036 -0.050 4.932
H 4.466 -0.521 5.569
H 4.841 1.186 5.286
H 6.286 1.206 2.124
H 4.901 2.284 2.301
H 4.944 1.108 0.983
H 2.432 1.031 5.181
H 0.050 1.702 5.116
H -1.211 1.433 2.970
C -1.365 -2.243 5.044
C -2.567 -1.653 4.676
C -2.780 -1.281 3.358
C -1.782 -1.493 2.411
C -0.582 -2.096 2.778
C -0.376 -2.471 4.096
P -2.040 -0.979 0.702
C -3.060 -2.274 -0.038
C -3.030 -3.561 0.498
C -3.848 -4.548 -0.028
C -4.690 -4.260 -1.092
C -4.718 -2.980 -1.633
C -3.901 -1.991 -1.114
C -2.895 0.584 0.604
C -4.200 1.061 0.637
C -4.382 2.416 0.410
C -3.288 3.243 0.149
C -1.993 2.743 0.070
C -1.796 1.384 0.292
H -1.199 -2.526 6.075
H -3.338 -1.482 5.415
H -3.715 -0.813 3.072
H 0.200 -2.246 2.041
H 0.558 -2.934 4.384
H -2.381 -3.789 1.334
H -3.826 -5.543 0.394
H -5.331 -5.031 -1.498
H -5.379 -2.753 -2.458
H -3.945 -0.990 -1.531
H -5.042 0.408 0.830
H -5.377 2.839 0.431
H -3.457 4.299 -0.015
H -1.169 3.411 -0.151
C -0.906 1.079 -2.707
N -0.237 -0.094 -2.048
C 1.160 -0.172 -2.618
N 1.155 -0.280 -4.056
C 0.474 0.884 -4.622
N -0.908 0.971 -4.146
C -1.610 -0.257 -4.525
N -0.959 -1.441 -3.959
C -0.951 -1.322 -2.519
C 0.423 -1.487 -4.442
H -0.372 1.982 -2.403
H -1.930 1.131 -2.336
H 1.645 -1.045 -2.180
H 1.699 0.725 -2.310
Brief:
Copy all of the entries further above verbatim.
Written answer:
(1)
Computed, not measured: C32H38N10O2RhS3 as an isolated structure, with ωB97M-V/def2-TZVPD.

Geometry as ORCA input:
```
! RIJCOSX wB97M-V def2-TZVPD def2/J DEFGRID3
* xyz -1 5
Rh -0.448 -0.292 0.078
C 3.544 -0.989 -1.426
C 2.083 -0.707 -1.261
N 1.544 -0.550 -0.049
N 2.381 -0.575 1.033
C 1.806 -0.385 2.165
N 2.594 -0.453 3.315
S 0.097 -0.084 2.420
C 1.203 -0.604 -2.354
C 1.620 -0.689 -3.711
C 0.695 -0.648 -4.716
C -0.671 -0.535 -4.400
C -1.019 -0.428 -3.071
N -0.138 -0.412 -2.072
H 3.925 -1.466 -0.525
H 4.121 -0.072 -1.582
H 3.713 -1.647 -2.276
H 3.573 -0.291 3.130
H 2.229 0.079 4.091
H 2.671 -0.788 -3.937
H 1.012 -0.726 -5.749
H -1.440 -0.565 -5.156
H -2.059 -0.390 -2.787
N 0.793 4.167 0.330
C 0.772 4.136 -1.046
C 0.526 2.838 -1.374
N 0.396 2.087 -0.234
C 0.558 2.908 0.768
H 0.928 4.978 0.907
H 0.933 5.013 -1.645
H 0.449 2.388 -2.349
H 0.517 2.623 1.806
N -7.105 -4.922 1.714
C -6.196 -4.598 0.698
C -5.216 -5.507 0.307
C -4.339 -5.196 -0.719
C -4.427 -3.969 -1.358
C -5.407 -3.060 -0.981
C -6.294 -3.378 0.030
S -3.218 -3.496 -2.569
O -2.716 -4.729 -3.143
O -3.870 -2.552 -3.444
N -2.144 -2.704 -1.730
C -1.170 -3.300 -1.062
S -0.723 -5.014 -1.150
C 0.487 -4.746 0.060
C 0.502 -3.447 0.417
N -0.407 -2.643 -0.214
H -6.758 -5.596 2.379
H -7.511 -4.121 2.172
H -5.143 -6.462 0.814
H -3.581 -5.902 -1.029
H -5.456 -2.105 -1.486
H -7.060 -2.669 0.322
H 1.105 -5.545 0.428
H 1.167 -3.003 1.143
C -3.538 -1.004 3.520
C -4.017 -1.703 2.242
C -3.003 -2.719 1.751
C -4.474 -0.657 1.245
C -5.844 -0.450 1.210
C -6.438 0.560 0.474
C -5.616 1.454 -0.195
C -4.241 1.325 -0.201
C -3.461 2.477 -0.802
C -2.572 2.111 -1.979
C -2.686 3.202 0.302
C -3.617 0.194 0.447
N -2.313 -0.006 0.296
H -3.220 -1.741 4.260
H -4.334 -0.392 3.950
H -2.687 -0.362 3.308
H -4.926 -2.258 2.499
H -2.004 -2.297 1.731
H -3.246 -3.068 0.749
H -2.991 -3.578 2.426
H -6.469 -1.108 1.803
H -7.514 0.669 0.448
H -6.057 2.298 -0.711
H -4.217 3.172 -1.182
H -1.754 1.468 -1.663
H -2.145 3.013 -2.424
H -3.147 1.591 -2.746
H -1.983 2.518 0.776
H -3.369 3.573 1.068
H -2.128 4.046 -0.108
*
```

Computed properties:
ΔE to the lowest compared entry with this formula, charge and spin: 0.75 kcal per mole
highest occupied orbital energy (alpha / beta): -2.369 / -4.419 eV
strongest force on any atom: 0.68 eV/A



(2)
Computed, not measured: C32H38N5PRhSSi as an isolated structure, with ωB97M-V/def2-TZVPD.

Geometry as ORCA input:
```
! RIJCOSX wB97M-V def2-TZVPD def2/J DEFGRID3
* xyz 1 1
Rh -0.154 0.204 0.068
C 4.685 -1.736 2.530
Si 4.373 0.005 3.129
C 4.969 0.176 4.895
C 5.200 1.269 2.030
C 2.510 0.399 3.134
C 1.874 0.920 4.259
C 0.536 1.299 4.239
C -0.172 1.149 3.067
N 0.417 0.642 1.984
C 1.707 0.277 2.001
S 2.154 -0.354 0.413
H 5.734 -1.991 2.695
H 4.474 -1.847 1.467
H 4.080 -2.464 3.074
H 6.036 -0.050 4.932
H 4.466 -0.521 5.569
H 4.841 1.186 5.286
H 6.286 1.206 2.124
H 4.901 2.284 2.301
H 4.944 1.108 0.983
H 2.432 1.031 5.181
H 0.050 1.702 5.116
H -1.211 1.433 2.970
C -1.365 -2.243 5.044
C -2.567 -1.653 4.676
C -2.780 -1.281 3.358
C -1.782 -1.493 2.411
C -0.582 -2.096 2.778
C -0.376 -2.471 4.096
P -2.040 -0.979 0.702
C -3.060 -2.274 -0.038
C -3.030 -3.561 0.498
C -3.848 -4.548 -0.028
C -4.690 -4.260 -1.092
C -4.718 -2.980 -1.633
C -3.901 -1.991 -1.114
C -2.895 0.584 0.604
C -4.200 1.061 0.637
C -4.382 2.416 0.410
C -3.288 3.243 0.149
C -1.993 2.743 0.070
C -1.796 1.384 0.292
H -1.199 -2.526 6.075
H -3.338 -1.482 5.415
H -3.715 -0.813 3.072
H 0.200 -2.246 2.041
H 0.558 -2.934 4.384
H -2.381 -3.789 1.334
H -3.826 -5.543 0.394
H -5.331 -5.031 -1.498
H -5.379 -2.753 -2.458
H -3.945 -0.990 -1.531
H -5.042 0.408 0.830
H -5.377 2.839 0.431
H -3.457 4.299 -0.015
H -1.169 3.411 -0.151
C -0.906 1.079 -2.707
N -0.237 -0.094 -2.048
C 1.160 -0.172 -2.618
N 1.155 -0.280 -4.056
C 0.474 0.884 -4.622
N -0.908 0.971 -4.146
C -1.610 -0.257 -4.525
N -0.959 -1.441 -3.959
C -0.951 -1.322 -2.519
C 0.423 -1.487 -4.442
H -0.372 1.982 -2.403
H -1.930 1.131 -2.336
H 1.645 -1.045 -2.180
H 1.699 0.725 -2.310